Cranbourne Campus News

This week we welcomed a large number of new students to St Peter's College for Head Start at Years 8-12. These new members of our community join us from a range of local schools, some who have relocated from interstate and some who have only recently come to Australia. Regardless of where our new friends have transferred from, it is the warmth and belonging that St Peters pride ourselves on, that these young people are looking for. We welcome these young people and their families warmly to our campus and look forward to the chance to walk alongside them as they settle in, thrive and aim to realize their dreams here at Peter's College.
As a College we have placed great emphasis on establishing calm and focus through routines ~ especially at the lower levels. These positive routines also extend to the routine of your child being at tutor group on time and students wearing their uniform correctly to demonstrate respect and pride for their school but also includes standing to greet the teacher upon arrival and following the lesson structure of the teachers.
What comes next are materials data, not part of the entry:
/*
1.
Computed, not measured: a relaxed MgS2 crystal at the PBE level of DFT.

CIF file:
```
data_MgS2
_chemical_formula_sum 'Mg3 S6'
_space_group_name_H-M_alt 'R -3 m'
_space_group_IT_number 166
_space_group_name_Hall '-R 3 2"'
_cell_length_a 3.9654
_cell_length_b 3.9654
_cell_length_c 13.7290
_cell_angle_alpha 90.00
_cell_angle_beta 90.00
_cell_angle_gamma 120.00
loop_
_atom_site_label
_atom_site_fract_x
_atom_site_fract_y
_atom_site_fract_z
Mg1 0.0000 0.0000 0.0000
S1 0.0000 0.0000 0.4237
```

Calculated values
Volume, Å³/f.u.: 62.3
Formation energy from the elements, eV/atom: -1.17
Electronic total energy, eV per atom: -4.121

2.
Computed, not measured: a relaxed Te6IrBr3 crystal at the PBE level of DFT.

CIF file:
```
data_Te6IrBr3
_chemical_formula_sum 'Te36 Ir6 Br18'
_space_group_name_H-M_alt 'R -3 c'
_space_group_IT_number 167
_space_group_name_Hall '-R 3 2"c'
_cell_length_a 15.5575
_cell_length_b 15.5575
_cell_length_c 9.9957
_cell_angle_alpha 90.00
_cell_angle_beta 90.00
_cell_angle_gamma 120.00
loop_
_atom_site_label
_atom_site_fract_x
_atom_site_fract_y
_atom_site_fract_z
Te1 0.0757 0.1636 0.0957
Ir1 0.0000 0.0000 0.2500
Br1 0.0000 0.2614 0.7500
```

Calculated values
Volume, Å³/f.u.: 349.2
Formation energy from the elements, eV/atom: -0.46
Electronic total energy, eV per atom: -3.561

3.
Computed, not measured: a relaxed Na3ScGaP3O12 crystal at the PBE level of DFT.

CIF file:
```
data_Na3ScGaP3O12
_chemical_formula_sum 'Na12 Sc4 Ga4 P12 O48'
_space_group_name_H-M_alt 'P 1'
_space_group_IT_number 1
_cell_length_a 8.879
_cell_length_b 8.892
_cell_length_c 12.662
_cell_angle_alpha 90.28
_cell_angle_beta 90.04
_cell_angle_gamma 90.05
loop_
_space_group_symop_operation_xyz
'x,y,z'
loop_
_atom_site_label
_atom_site_fract_x
_atom_site_fract_y
_atom_site_fract_z
Na1 0.000 0.000 0.000
Na2 0.032 0.656 0.687
Na3 0.162 0.649 0.429
Na4 0.206 0.647 0.934
Na5 0.325 0.654 0.188
Na6 0.366 0.997 0.495
Na7 0.500 0.503 0.493
Na8 0.544 0.155 0.186
Na9 0.662 0.147 0.934
Na10 0.705 0.150 0.429
Na11 0.831 0.153 0.688
Na12 0.864 0.500 0.997
Sc1 0.174 0.948 0.289
Sc2 0.182 0.357 0.581
Sc3 0.191 0.947 0.791
Sc4 0.675 0.446 0.789
Ga1 0.183 0.356 0.084
Ga2 0.682 0.857 0.583
Ga3 0.683 0.856 0.085
Ga4 0.689 0.450 0.287
P1 0.030 0.995 0.541
P2 0.042 0.307 0.840
P3 0.332 0.308 0.330
P4 0.334 0.003 0.043
P5 0.387 0.658 0.682
P6 0.486 0.148 0.682
P7 0.533 0.504 0.045
P8 0.544 0.802 0.333
P9 0.823 0.807 0.837
P10 0.826 0.506 0.536
P11 0.884 0.159 0.184
P12 0.974 0.649 0.184
O1 0.000 0.498 0.531
O2 0.072 0.163 0.544
O3 0.075 0.137 0.842
O4 0.075 0.560 0.105
O5 0.081 0.733 0.260
O6 0.086 0.920 0.643
O7 0.098 0.379 0.736
O8 0.108 0.915 0.448
O9 0.111 0.394 0.935
O10 0.258 0.921 0.949
O11 0.266 0.397 0.425
O12 0.270 0.378 0.227
O13 0.274 0.926 0.143
O14 0.281 0.734 0.762
O15 0.287 0.573 0.601
O16 0.294 0.173 0.045
O17 0.298 0.138 0.336
O18 0.359 0.494 0.039
O19 0.369 0.815 0.341
O20 0.382 0.042 0.742
O21 0.392 0.258 0.614
O22 0.482 0.767 0.614
O23 0.489 0.548 0.741
*/
So much for the materials data:
So then to have a day of limbo where the students have finished all assessment and lessons for the 2023 school year seems almost contradictory. However, it is not and some very valuable learning happened on our New Semester Ever on Tuesday.
7 and 8 Projects Day
The lessons of problem solving with a focus on the skills of group work to complete a series of challenges not only required collaboration but also determination and self discipline from our junior students. A competitive spirit (and I suspect the hope of prizes), drove some excellent thinking to create new jingles for our school wide expectations - the ROCKS, posters about Child Safety of St Peters and entertaining submissions debunking myths like whether the Loch Ness Monster is real. The topics might have been fun and a little off script at times but the team work, problem solving and determination that was called upon for the projects were the real benefit of this day.
Unrelated to this entry: calculated crystals:
## CaMgC2O6 (r²SCAN)

Data for an optimized crystal structure of CaMgC2O6.

```
CaMgC2O6
1.0
2.037 -2.291 -3.724
-1.320 -5.317 2.379
-8.689 -1.365 -7.088
Mg O Ca C
3 18 3 6
Direct
0.167 0.833 0.667 Mg
0.340 0.673 0.348 Mg
0.993 0.994 0.985 Mg
0.981 0.243 0.489 O
0.424 0.362 0.423 O
0.667 0.577 0.197 O
0.084 0.519 0.249 O
0.267 0.971 0.259 O
0.018 0.525 0.744 O
0.352 0.424 0.844 O
0.317 0.919 0.829 O
0.668 0.830 0.406 O
0.665 0.836 0.928 O
0.561 0.688 0.594 O
0.666 0.090 0.136 O
0.773 0.979 0.740 O
0.066 0.696 0.074 O
0.016 0.747 0.504 O
0.316 0.141 0.589 O
0.249 0.148 0.085 O
0.910 0.304 0.910 O
0.829 0.179 0.312 Ca
0.667 0.333 0.667 Ca
0.504 0.488 0.021 Ca
0.094 0.419 0.833 C
0.938 0.603 0.174 C
0.239 0.247 0.500 C
0.395 0.063 0.159 C
0.749 0.757 0.501 C
0.585 0.910 0.832 C
```

Properties
* E_form: -222.2 kJ per mole of atoms

---

## CaMg3C4O12 (r²SCAN)

Data for an optimized crystal structure of CaMg3C4O12.

```
CaMg3C4O12
1.0
0.000 -4.725 0.000
1.006 2.363 -3.967
9.648 2.363 3.853
O C Ca Mg
12 4 1 3
Direct
0.018 0.148 0.619 O
0.749 0.601 0.619 O
0.492 0.584 0.859 O
0.528 0.129 0.381 O
0.251 0.399 0.381 O
0.725 0.092 0.141 O
0.982 0.852 0.381 O
0.049 0.633 0.141 O
0.508 0.416 0.141 O
0.951 0.367 0.859 O
0.275 0.908 0.859 O
0.472 0.871 0.619 O
0.254 0.127 0.381 C
0.762 0.381 0.143 C
0.746 0.873 0.619 C
0.238 0.619 0.857 C
0.000 0.000 0.000 Ca
0.509 0.755 0.264 Mg
0.000 0.500 0.500 Mg
0.491 0.245 0.736 Mg
```

Properties
* distance to the lowest polymorph of the same formula: 0.0 meV per atom
* E_form: -217.5 kJ per mole of atoms

---

## CaMgC2O6 (r²SCAN)

Data for an optimized crystal structure of CaMgC2O6.

```
CaMgC2O6
1.0
1.018 2.394 -4.021
5.478 2.454 0.000
6.410 -9.683 -4.142
Mg O C Ca
3 18 6 3
Direct
0.333 0.333 0.667 Mg
0.661 0.673 0.824 Mg
0.006 0.994 0.510 Mg
0.403 0.663 0.583 O
0.232 0.240 0.517 O
0.850 0.569 0.677 O
0.626 0.289 0.434 O
0.082 0.078 0.171 O
0.489 0.237 0.992 O
0.817 0.098 0.656 O
0.940 0.677 0.075 O
0.726 0.989 0.258 O
0.264 0.004 0.750 O
0.152 0.939 0.352 O
0.762 0.771 0.505 O
0.905 0.895 0.828 O
0.585 0.588 0.163 O
0.434 0.426 0.817 O
0.515 0.728 0.981 O
0.177 0.430 0.341 O
0.041 0.378 0.899 O
0.680 0.665 0.072 C
0.986 0.002 0.261 C
0.995 0.999 0.745 C
0.672 0.668 0.589 C
0.346 0.317 0.431 C
0.321 0.350 0.903 C
0.649 0.654 0.344 Ca
0.333 0.333 0.167 Ca
0.018 0.013 0.990 Ca
```

Properties
* E_form: -220.7 kJ per mole of atoms

---

## CaMg3C4O12 (r²SCAN)

Data for an optimized crystal structure of CaMg3C4O12.

```
CaMg3C4O12
1.0
6.318 -0.030 -3.989
4.309 4.728 3.908
4.359 -4.781 3.917
O Mg C Ca
24 6 8 2
Direct
0.621 0.888 0.252 O
0.393 0.614 0.274 O
0.892 0.247 0.614 O
0.392 0.747 0.614 O
0.379 0.112 0.748 O
0.381 0.229 0.116 O
0.121 0.388 0.252 O
0.893 0.114 0.274 O
0.619 0.771 0.884 O
0.107 0.886 0.726 O
0.247 0.111 0.395 O
0.769 0.380 0.122 O
0.879 0.612 0.748 O
0.747 0.611 0.395 O
0.607 0.386 0.726 O
0.119 0.271 0.884 O
0.231 0.620 0.878 O
0.731 0.120 0.878 O
0.269 0.880 0.122 O
0.108 0.753 0.386 O
Careers and Peer Support
Before changing over to become Year 10's, our Year 9 Students had the opportunity to spend half a day working with our Careers Coordinator Ms Dillon getting some insight into Work Experience for 2024 and our Pathways content. For many, Year 10 is that focus year of school when part time jobs, work placement and a focus on potential pathways begins to enter the fray and take shape. Increasingly the connection to Ms Dillon for you and especially your child, becomes important.
The second half of the day for Year 9 involved Peer Support Training with Pastoral Care leader, Ms Hogan. While students actually need to apply to become a Peer Support Leader or College Ambassador (person with the responsibility to do school tours) all Year 9s experience the program effectively learning about the importance of role modeling to younger students that is expected of them as they pass the halfway mark of their secondary school education at St Peter's.
Exam Feedback
While the final group of students, the Year 10's and l1s, spent the day speaking with their class teachers, analyzing their recent exam results with a sense of self reflection. Teachers don't ask young people to walo in failed attempts or low scores but instead to use exam results to help students to make judgments on their study practice for HeadStart and Beyond ~ what must I keep doing? What should I stop doing ? And what can I start doing~ to achieve future growth as a learner.
New Semester Eve is a day where the classroom routines are compromised little and it can even seem a little chaotic, but the lessons learned are still there even if sometimes our young people fail to see them on the day.
Welcome Head Start- new classes- new teachers and the opportunity to make new friends and connections.
Mr Jeremy Wright
Deputy Principal - Head of Cranbourne Campus